
Yes, but other than O'Neal, everyone at AVC absolutely sucks at writing about politics. Like really, really, sucks.

1. Those aren't examples. Don't invite the burden of proof onto yourself if you "don't have time to go hunt down links."

Seriously. Dear AVclub: a guide to writing political articles:

"I could point to probably a hundred instances on this site that back up his opinion."

Searching for where you were told to go fuck yourself. Not finding it. The OP was, but I think that may have been an in-jest concession to your provocation? Maybe not. If so, one point for you. Had your first post been in response to that, I would have likely lauded you.

Okay, please do.

Okay, fine
(1) Making such a claim when it has actually occurred is legit - 'there are rules to a civil convseration, they aren't being followed, and it is preventing legitimate discourse." Instead, you pre-emptively make such a claim, with no evidence to support it.

No, you said *this* thread would devolve into name-calling, etc. Which it has not. You've been told to shut up, which is not un-civil, in my opinion. Part of having "civil conversation" is that you have to be able to expect participants to actually contribute ideas of merit, rather than *lead off* with "I'm going

Yes, but you haven't expressed an actual opinion. Your opinion is "I'm going to be made a victim for not agreeing with the consensus," without actually having the intellectual fortitute to, y'know, express an actual thought.

Wow, it just occurred to me: Rory isn't a Gilmore Girl: she's Christopher's daughter! It all makes a lot more sense, now.

I feel like the underdog narrative is more about the long-suffering fans, not the team. You read the stories today, and it's all about the fans and the city, stories about people crying over lost family members who never got to see this, etc (rip, grandpa).

By all accounts, the former claim is blatantly false.

Hmm, I'm not sure if "charmer" is one of his defining characteristics. If anything, his presidency could've benefitted from a little more willingness to charm and schmooze with the lawmakers.

I think there are some reading comprehension issues going on, here. The whole point of his post is precisely that Obama will still be president, so he can pretend like he just woke up after going to bed on December 31, 2015 (uh, except for the whole Colbert Report thing).

See my other comment, but a cousin of mine somehow ended up hanging out w Feldman, my aunt has creepy stories about the older celebrities she's sometimes drop him off with (that side of the fam is messed up, so don't ask…)

Okay, I never thought I'd say this, but the "alleged pediphile ring" is real. An estranged and deeply troubled cousin of mine somehow ended up in LA and regularly hanging out w Feldman, a few decades ago. The stories I heard back, through my aunt via my mom were… disturbing.

I think they cancel each other out, actually. But MN is nice, in the summer…

<<<
Entry 1:
! MoW3Se8, relaxed, DFT GGA-PBEsol; values from VASP
&SYSTEM
  ibrav = 0, nat = 12, ntyp = 3
/
ATOMIC_SPECIES
Mo 95.94 Mo.upf
W 183.84 W.upf
Se 78.96 Se.upf
CELL_PARAMETERS angstrom
-2.505 0.907 1.896
1.532 -2.834 0.561
16.632 12.188 16.149
ATOMIC_POSITIONS crystal
Mo 0.000 0.000 0.749
W 0.333 0.667 0.998
W 0.333 0.667 0.500
W 0.000 0.000 0.250
Se 0.333 0.667 0.685
Se 0.333 0.667 0.186
Se 0.000 0.000 0.062
Se 0.000 0.000 0.564
Se 0.000 0.000 0.934
Se 0.000 0.000 0.436
Se 0.333 0.667 0.812
Se 0.333 0.667 0.314
! Uncorrected formation energy, eV/atom: -0.620
! SG: P3m1 (156)
! Total magnetic moment, μB/f.u.: 0.0


Entry 2:
! NaCa9MnP7O28, relaxed, DFT GGA-PBEsol; values from VASP
&SYSTEM
  ibrav = 0, nat = 92, ntyp = 5
/
ATOMIC_SPECIES
Na 22.99 Na.upf
Ca 40.08 Ca.upf
Mn 54.94 Mn.upf
P 30.97 P.upf
O 16.00 O.upf
CELL_PARAMETERS angstrom
10.352 0.000 0.000
5.176 8.965 0.000
5.176 2.988 12.302
ATOMIC_POSITIONS crystal
Na 0.687 0.687 0.938
Na 0.187 0.187 0.438
Ca 0.947 0.972 0.523
Ca 0.160 0.574 0.701
Ca 0.574 0.564 0.701
Ca 0.559 0.947 0.523
Ca 0.972 0.559 0.523
Ca 0.472 0.447 0.023
Ca 0.059 0.472 0.023
Ca 0.447 0.059 0.023
Ca 0.348 0.941 0.804
Ca 0.907 0.348 0.804
Ca 0.564 0.160 0.701
Ca 0.441 0.848 0.304
Ca 0.407 0.441 0.304
Ca 0.848 0.407 0.304
Ca 0.660 0.064 0.201
Ca 0.074 0.660 0.201
Ca 0.064 0.074 0.201
Ca 0.941 0.907 0.804
Mn 0.001 0.001 0.997
Mn 0.501 0.501 0.497
P 0.809 0.771 0.095
P 0.227 0.686 0.904
P 0.183 0.227 0.904
P 0.686 0.183 0.904
P 0.325 0.809 0.095
P 0.771 0.325 0.095
P 0.727 0.683 0.404
P 0.309 0.825 0.595
P 0.271 0.309 0.595
P 0.825 0.271 0.595
P 0.767 0.767 0.698
P 0.267 0.267 0.198
P 0.683 0.186 0.404
P 0.186 0.727 0.404
O 0.114 0.689 0.526
O 0.670 0.114 0.526
O 0.689 0.670 0.526
O 0.189 0.614 0.026
O 0.170 0.189 0.026
O 0.614 0.170 0.026
O 0.365 0.640 0.378
O 0.617 0.365 0.378
O 0.640 0.617 0.378
O 0.140 0.865 0.878
O 0.117 0.140 0.878
O 0.865 0.117 0.878
O 0.126 0.674 0.346
O 0.854 0.126 0.346
O 0.674 0.854 0.346
O 0.174 0.626 0.846
O 0.354 0.174 0.846
O 0.626 0.354 0.846
O 0.145 0.902 0.368
O 0.585 0.145 0.368
O 0.902 0.585 0.368
O 0.402 0.645 0.868
O 0.385 0.634 0.136
O 0.085 0.402 0.868
O 0.148 0.875 0.106
O 0.871 0.148 0.106
O 0.875 0.871 0.106
O 0.375 0.648 0.606
O 0.371 0.375 0.606
O 0.648 0.371 0.606
O 0.337 0.892 0.163
O 0.608 0.337 0.163
O 0.892 0.608 0.163
O 0.392 0.837 0.663
O 0.108 0.392 0.663
O 0.837 0.108 0.663
O 0.309 0.309 0.073
O 0.809 0.809 0.573
O 0.256 0.393 0.240
O 0.393 0.110 0.240
O 0.110 0.256 0.240
O 0.610 0.893 0.740
O 0.893 0.756 0.740
O 0.756 0.610 0.740
O 0.915 0.253 0.477
O 0.253 0.354 0.477
O 0.354 0.915 0.477
O 0.854 0.753 0.977
O 0.753 0.415 0.977
O 0.415 0.854 0.977
O 0.885 0.346 0.636
>>>

Reelfoot lake is cool…

Too vinegary for me…

Oh, great: so the fifth element is love, then?